Transcribe everything underneath with every line break kept.

=====
AlCo5: theoretical X-ray diffraction stick pattern (Cu Kα, 1.54184 Å), based on a structure optimized by DFT (GGA-PBE).
No peak broadening, texture or thermal motion is included.

Top 6 peaks for 10 to 80 degrees two-theta, by angle:
2θ = 22.3°, I = 24, hkl 1 0 0; 2θ = 42.4°, I = 45, hkl 1 0 6; 2θ = 46.1°, I = 100, hkl 1 1 4; 2θ = 47.1°, I = 76, hkl 2 0 2; 2θ = 47.8°, I = 26, hkl 1 0 7; 2θ = 49.1°, I = 31, hkl 2 0 3

Crystal structure
a b c (Å): 4.6122 4.6122 15.1374
angles (deg): 90.00 90.00 120.00
Space group P6_3/mmc (No. 194)
Unique sites:
Al: 0.0000 0.0000 0.0962 (multiplicity 4)
Co: 0.0000 0.5000 0.0000 (multiplicity 6)
Co: 0.1617 0.3233 0.2500 (multiplicity 6)
Co: 0.3333 0.6667 0.1271 (multiplicity 4)
Co: 0.3333 0.6667 0.6617 (multiplicity 4)

~~~~~

1.
The following is a calculated powder diffraction line list of LiFeSiO4. It was derived from a cell relaxed with GGA+U, using λ = 1.5418 Å (Cu Kα).
Neutral-atom scattering factors, no anomalous dispersion.

Principal peaks in the range 2θ = 15–90°, low angle first:
20.15°, I 34.1
21.72°, I 100.0
22.21°, I 31.8
25.70°, I 97.8
31.13°, I 93.7
34.23°, I 81.4
48.84°, I 41.8
65.75°, I 51.5

Structure:
```
LiFeSiO4
1.0
6.932 4.002 3.157
-6.932 4.002 3.157
0.000 -8.004 3.157
Li Fe Si O
6 6 6 24
Cartesian
-1.601 -2.294 2.397
-1.186 2.534 2.397
2.787 -0.240 2.397
-2.787 0.240 7.076
1.186 -2.534 7.076
1.601 2.294 7.076
-5.656 1.471 4.012
-4.102 -4.162 5.460
1.554 -5.634 4.012
-1.554 5.634 5.460
4.102 4.162 4.012
5.656 -1.471 5.460
-2.756 0.223 4.011
-1.571 -2.276 5.461
1.185 -2.498 4.011
-1.185 2.498 5.461
1.571 2.276 4.011
2.756 -0.223 5.461
-4.366 0.032 4.100
-4.849 -2.464 5.587
-2.287 0.876 2.587
-0.290 -5.431 3.885
0.385 -2.418 2.587
-4.559 2.967 3.885
-2.067 -1.304 4.187
-2.211 -3.765 5.373
2.155 -3.798 4.100
-2.162 1.138 5.286
0.096 -2.442 5.286
1.902 1.543 2.587
-1.902 -1.543 6.886
-0.096 2.442 4.187
2.162 -1.138 4.187
-2.155 3.798 5.373
2.211 3.765 4.100
2.067 1.304 5.286
4.559 -2.967 5.587
-0.385 2.418 6.886
0.290 5.431 5.587
2.287 -0.876 6.886
4.849 2.464 3.885
4.366 -0.032 5.373
```

---

2.
The following is a calculated powder diffraction line list of LiFeSiO4. It was derived from a cell relaxed with GGA+U, using λ = 1.5418 Å (Cu Kα).
Neutral-atom scattering factors, no anomalous dispersion.

Principal peaks in the range 2θ = 15–90°, low angle first:
21.15°, I 100.0
27.41°, I 50.6
30.08°, I 13.0
34.88°, I 29.0
46.71°, I 27.9
51.81°, I 16.5
58.10°, I 14.6
65.40°, I 21.5

Structure:
```
LiFeSiO4
1.0
7.274 0.000 0.000
0.000 7.276 0.000
0.000 0.000 7.278
Li Fe Si O
4 4 4 16
Cartesian
0.003 7.273 0.004
7.271 3.635 3.635
3.634 0.003 3.643
3.640 3.642 7.274
0.407 0.407 3.230
3.229 6.869 6.869
4.044 3.231 4.048
6.866 4.045 0.409
1.584 2.054 5.694
2.053 5.222 2.054
5.220 1.584 1.585
5.690 5.692 5.224
0.532 4.580 1.984
0.655 2.984 6.630
0.946 1.985 4.170
1.652 0.531 6.333
1.985 6.745 2.694
2.691 5.291 0.531
2.982 4.293 2.991
3.105 2.696 5.624
4.169 6.334 5.294
4.292 0.654 0.648
4.583 1.653 3.108
5.289 3.107 0.945
5.621 4.169 4.584
6.328 5.623 6.747
6.619 6.622 4.288
6.742 0.942 1.655
```

---

3.
The following is a calculated powder diffraction line list of Li2FeSi3O8. It was derived from a cell relaxed with GGA+U, using λ = 1.5418 Å (Cu Kα).
Neutral-atom scattering factors, no anomalous dispersion.

Principal peaks in the range 2θ = 15–90°, low angle first:
19.05°, I 41.0
19.33°, I 35.0
20.08°, I 60.4
21.01°, I 100.0
21.49°, I 74.2
28.53°, I 19.9
33.36°, I 39.6
37.27°, I 17.8

Structure:
```
Li2FeSi3O8
1.0
6.725 0.000 0.000
-2.281 9.809 0.000
-1.667 -4.302 11.442
Li Fe Si O
8 4 12 32
Cartesian
0.000 0.000 0.000
-1.711 0.035 9.237
-1.265 5.053 8.635
1.978 2.487 0.427
1.388 2.754 5.721
1.343 7.091 3.515
4.071 2.300 2.914
3.369 5.241 6.149
-1.709 2.574 6.263
1.389 4.076 2.923
3.628 -0.178 0.542
5.060 -2.979 8.645
-0.653 4.737 0.677
-1.412 2.644 10.248
-0.647 5.140 5.277
1.672 0.734 2.617
1.100 -1.239 8.661
0.722 1.675 8.422
3.018 -2.318 6.399
3.926 -0.110 4.526
3.023 -1.916 10.999
=====

AlCo5: theoretical X-ray diffraction stick pattern (Cu Kα, 1.54184 Å), based on a structure optimized by DFT (GGA-PBE).
No peak broadening, texture or thermal motion is included.

Top 6 peaks for 10 to 80 degrees two-theta, by angle:
2θ = 22.3°, I = 24, hkl 1 0 0; 2θ = 42.4°, I = 45, hkl 1 0 6; 2θ = 46.1°, I = 100, hkl 1 1 4; 2θ = 47.1°, I = 76, hkl 2 0 2; 2θ = 47.8°, I = 26, hkl 1 0 7; 2θ = 49.1°, I = 31, hkl 2 0 3

Crystal structure
a b c (Å): 4.6122 4.6122 15.1374
angles (deg): 90.00 90.00 120.00
Space group P6_3/mmc (No. 194)
Unique sites:
Al: 0.0000 0.0000 0.0962 (multiplicity 4)
Co: 0.0000 0.5000 0.0000 (multiplicity 6)
Co: 0.1617 0.3233 0.2500 (multiplicity 6)
Co: 0.3333 0.6667 0.1271 (multiplicity 4)
Co: 0.3333 0.6667 0.6617 (multiplicity 4)

~~~~~

1.
The following is a calculated powder diffraction line list of LiFeSiO4. It was derived from a cell relaxed with GGA+U, using λ = 1.5418 Å (Cu Kα).
Neutral-atom scattering factors, no anomalous dispersion.

Principal peaks in the range 2θ = 15–90°, low angle first:
20.15°, I 34.1
21.72°, I 100.0
22.21°, I 31.8
25.70°, I 97.8
31.13°, I 93.7
34.23°, I 81.4
48.84°, I 41.8
65.75°, I 51.5

Structure:
```
LiFeSiO4
1.0
6.932 4.002 3.157
-6.932 4.002 3.157
0.000 -8.004 3.157
Li Fe Si O
6 6 6 24
Cartesian
-1.601 -2.294 2.397
-1.186 2.534 2.397
2.787 -0.240 2.397
-2.787 0.240 7.076
1.186 -2.534 7.076
1.601 2.294 7.076
-5.656 1.471 4.012
-4.102 -4.162 5.460
1.554 -5.634 4.012
-1.554 5.634 5.460
4.102 4.162 4.012
5.656 -1.471 5.460
-2.756 0.223 4.011
-1.571 -2.276 5.461
1.185 -2.498 4.011
-1.185 2.498 5.461
1.571 2.276 4.011
2.756 -0.223 5.461
-4.366 0.032 4.100
-4.849 -2.464 5.587
-2.287 0.876 2.587
-0.290 -5.431 3.885
0.385 -2.418 2.587
-4.559 2.967 3.885
-2.067 -1.304 4.187
-2.211 -3.765 5.373
2.155 -3.798 4.100
-2.162 1.138 5.286
0.096 -2.442 5.286
1.902 1.543 2.587
-1.902 -1.543 6.886
-0.096 2.442 4.187
2.162 -1.138 4.187
-2.155 3.798 5.373
2.211 3.765 4.100
2.067 1.304 5.286
4.559 -2.967 5.587
-0.385 2.418 6.886
0.290 5.431 5.587
2.287 -0.876 6.886
4.849 2.464 3.885
4.366 -0.032 5.373
```

---

2.
The following is a calculated powder diffraction line list of LiFeSiO4. It was derived from a cell relaxed with GGA+U, using λ = 1.5418 Å (Cu Kα).
Neutral-atom scattering factors, no anomalous dispersion.

Principal peaks in the range 2θ = 15–90°, low angle first:
21.15°, I 100.0
27.41°, I 50.6
30.08°, I 13.0
34.88°, I 29.0
46.71°, I 27.9
51.81°, I 16.5
58.10°, I 14.6
65.40°, I 21.5

Structure:
```
LiFeSiO4
1.0
7.274 0.000 0.000
0.000 7.276 0.000
0.000 0.000 7.278
Li Fe Si O
4 4 4 16
Cartesian
0.003 7.273 0.004
7.271 3.635 3.635
3.634 0.003 3.643
3.640 3.642 7.274
0.407 0.407 3.230
3.229 6.869 6.869
4.044 3.231 4.048
6.866 4.045 0.409
1.584 2.054 5.694
2.053 5.222 2.054
5.220 1.584 1.585
5.690 5.692 5.224
0.532 4.580 1.984
0.655 2.984 6.630
0.946 1.985 4.170
1.652 0.531 6.333
1.985 6.745 2.694
2.691 5.291 0.531
2.982 4.293 2.991
3.105 2.696 5.624
4.169 6.334 5.294
4.292 0.654 0.648
4.583 1.653 3.108
5.289 3.107 0.945
5.621 4.169 4.584
6.328 5.623 6.747
6.619 6.622 4.288
6.742 0.942 1.655
```

---

3.
The following is a calculated powder diffraction line list of Li2FeSi3O8. It was derived from a cell relaxed with GGA+U, using λ = 1.5418 Å (Cu Kα).
Neutral-atom scattering factors, no anomalous dispersion.

Principal peaks in the range 2θ = 15–90°, low angle first:
19.05°, I 41.0
19.33°, I 35.0
20.08°, I 60.4
21.01°, I 100.0
21.49°, I 74.2
28.53°, I 19.9
33.36°, I 39.6
37.27°, I 17.8

Structure:
```
Li2FeSi3O8
1.0
6.725 0.000 0.000
-2.281 9.809 0.000
-1.667 -4.302 11.442
Li Fe Si O
8 4 12 32
Cartesian
0.000 0.000 0.000
-1.711 0.035 9.237
-1.265 5.053 8.635
1.978 2.487 0.427
1.388 2.754 5.721
1.343 7.091 3.515
4.071 2.300 2.914
3.369 5.241 6.149
-1.709 2.574 6.263
1.389 4.076 2.923
3.628 -0.178 0.542
5.060 -2.979 8.645
-0.653 4.737 0.677
-1.412 2.644 10.248
-0.647 5.140 5.277
1.672 0.734 2.617
1.100 -1.239 8.661
0.722 1.675 8.422
3.018 -2.318 6.399
3.926 -0.110 4.526
3.023 -1.916 10.999